== Data ==
No. 1
Calculated powder X-ray diffraction pattern of Sr2LiBi4Rh3 for Cu Ka, from DFT lattice parameters and positions (GGA-PBE).

Principal peaks in the range 2θ from 10° to 90°, in order of falling intensity:
- 37.6°, rel. 100, (2 0 0)
- 31.0°, rel. 99, (1 1 2)
- 42.3°, rel. 79, (1 1 4)
- 30.7°, rel. 71, (1 0 3)
- 27.6°, rel. 49, (1 1 1)
- 20.2°, rel. 45, (1 0 1)
- 45.3°, rel. 45, (1 0 5)
- 49.3°, rel. 41, (2 1 3)
- 54.2°, rel. 36, (2 2 0)
- 71.1°, rel. 35, (3 1 4)
- 60.3°, rel. 32, (2 1 5)
- 63.8°, rel. 26, (3 1 2)

Crystal structure
Cell lengths 4.7850, 4.7850, 11.0111 Å; angles 90.00, 90.00, 90.00 degrees
Space group P-4m2 (No. 115)
Asymmetric unit:
Sr  0.0000  0.5000  0.2442 [2 per cell]
Li  0.5000  0.5000  0.0000 [1 per cell]
Bi  0.0000  0.0000  0.5000 [1 per cell]
Bi  0.0000  0.5000  0.8713 [2 per cell]
Bi  0.5000  0.5000  0.5000 [1 per cell]
Rh  0.0000  0.0000  0.0000 [1 per cell]
Rh  0.0000  0.5000  0.6260 [2 per cell]


No. 2
Calculated powder X-ray diffraction pattern of TmAl11Fe for Cu Ka, from DFT lattice parameters and positions (GGA-PBE).

Principal peaks in the range 2θ from 10° to 90°, in order of falling intensity:
- 40.7°, rel. 100, (2 2 -2)
- 39.4°, rel. 87, (0 4 2)
- 14.1°, rel. 84, (0 2 0)
- 20.0°, rel. 77, (1 1 -1)
- 39.9°, rel. 65, (2 2 0)
- 33.8°, rel. 62, (1 3 1)
- 28.5°, rel. 58, (1 3 -1)
- 27.0°, rel. 54, (1 1 1)
- 39.2°, rel. 52, (1 1 -3)
- 38.1°, rel. 45, (1 1 2)
- 40.5°, rel. 37, (1 5 0)
- 30.3°, rel. 37, (0 2 2)

Crystal structure
Cell lengths 5.1353, 12.5389, 7.0772 Å; angles 90.00, 109.20, 90.00 degrees
Space group C2/m (No. 12)
Asymmetric unit:
Tm  0.0000  0.0000  0.0000 [2 per cell]
Al  0.0000  0.0000  0.5000 [2 per cell]
Al  0.1064  0.3934  0.2284 [8 per cell]
Al  0.1929  0.1715  0.3616 [8 per cell]
Al  0.2500  0.2500  0.0000 [4 per cell]
Fe  0.0000  0.5000  0.5000 [2 per cell]


No. 3
Calculated powder X-ray diffraction pattern of ZrPa2SnN5 for Cu Ka, from DFT lattice parameters and positions (GGA-PBE).

Principal peaks in the range 2θ from 10° to 90°, in order of falling intensity:
- 30.1°, rel. 100, (0 4 2)
- 31.9°, rel. 71, (1 1 2)
- 32.6°, rel. 52, (1 3 0)
- 47.2°, rel. 40, (1 3 4)
- 33.3°, rel. 40, (0 0 4)
- 55.5°, rel. 32, (1 7 2)
- 16.5°, rel. 29, (0 0 2)
- 63.4°, rel. 26, (2 4 2)
- 36.7°, rel. 18, (1 3 2)
- 57.5°, rel. 17, (0 4 6)
- 54.4°, rel. 16, (2 0 0)
- 51.4°, rel. 13, (0 8 0)

Crystal structure
Cell lengths 3.3744, 14.2087, 10.7747 Å; angles 90.00, 90.00, 90.00 degrees
Space group Cmc2_1 (No. 36)
Asymmetric unit:
Zr  0.0000  0.2407  0.0000 [4 per cell]
Pa  0.0000  0.1303  0.7344 [4 per cell]
Pa  0.0000  0.1376  0.2550 [4 per cell]
Sn  0.0000  0.4927  0.4862 [4 per cell]
N  0.0000  0.0788  0.0464 [4 per cell]
N  0.0000  0.2783  0.6500 [4 per cell]
N  0.0000  0.2900  0.3585 [4 per cell]
N  0.0000  0.3809  0.0829 [4 per cell]
N  0.0000  0.4860  0.7924 [4 per cell]


No. 4
Calculated powder X-ray diffraction pattern of Li6Cd8Au for Cu Ka, from DFT lattice parameters and positions (GGA-PBE).

Principal peaks in the range 2θ from 10° to 90°, in order of falling intensity:
- 34.9°, rel. 100, (1 2 2)
- 33.1°, rel. 69, (0 1 5)
- 41.6°, rel. 68, (3 0 3)
- 28.1°, rel. 68, (1 1 3)
- 21.2°, rel. 42, (1 1 0)
- 39.7°, rel. 34, (2 0 5)
- 61.1°, rel. 32, (1 2 8)
- 55.4°, rel. 31, (3 1 5)
- 64.3°, rel. 27, (2 3 5)
- 25.2°, rel. 26, (0 2 1)
- 37.1°, rel. 26, (0 0 6)
- 43.1°, rel. 25, (2 2 0)

Crystal structure
Cell lengths 8.4003, 8.4003, 14.5575 Å; angles 90.00, 90.00, 120.00 degrees
Space group R-3m (No. 166, hexagonal axes)
Asymmetric unit:
Li  0.0000  0.3284  0.0000 [18 per cell]
Cd  0.0000  0.0000  0.3819 [6 per cell]
Cd  0.0860  0.5430  0.8348 [18 per cell]
Au  0.0000  0.0000  0.0000 [3 per cell]


No. 5
Calculated powder X-ray diffraction pattern of PaCuNi5 for Cu Ka, from DFT lattice parameters and positions (GGA-PBE).

Principal peaks in the range 2θ from 10° to 90°, in order of falling intensity:
- 40.3°, rel. 100, (3 1 1)
- 40.4°, rel. 99, (2 1 3)
- 38.2°, rel. 58, (1 0 4)
== Activity ==
Find the line further above that holds "4.7850, 4.7850,", then copy that line and all lines after it there.
== Reply ==
Cell lengths 4.7850, 4.7850, 11.0111 Å; angles 90.00, 90.00, 90.00 degrees
Space group P-4m2 (No. 115)
Asymmetric unit:
Sr  0.0000  0.5000  0.2442 [2 per cell]
Li  0.5000  0.5000  0.0000 [1 per cell]
Bi  0.0000  0.0000  0.5000 [1 per cell]
Bi  0.0000  0.5000  0.8713 [2 per cell]
Bi  0.5000  0.5000  0.5000 [1 per cell]
Rh  0.0000  0.0000  0.0000 [1 per cell]
Rh  0.0000  0.5000  0.6260 [2 per cell]


No. 2
Calculated powder X-ray diffraction pattern of TmAl11Fe for Cu Ka, from DFT lattice parameters and positions (GGA-PBE).

Principal peaks in the range 2θ from 10° to 90°, in order of falling intensity:
- 40.7°, rel. 100, (2 2 -2)
- 39.4°, rel. 87, (0 4 2)
- 14.1°, rel. 84, (0 2 0)
- 20.0°, rel. 77, (1 1 -1)
- 39.9°, rel. 65, (2 2 0)
- 33.8°, rel. 62, (1 3 1)
- 28.5°, rel. 58, (1 3 -1)
- 27.0°, rel. 54, (1 1 1)
- 39.2°, rel. 52, (1 1 -3)
- 38.1°, rel. 45, (1 1 2)
- 40.5°, rel. 37, (1 5 0)
- 30.3°, rel. 37, (0 2 2)

Crystal structure
Cell lengths 5.1353, 12.5389, 7.0772 Å; angles 90.00, 109.20, 90.00 degrees
Space group C2/m (No. 12)
Asymmetric unit:
Tm  0.0000  0.0000  0.0000 [2 per cell]
Al  0.0000  0.0000  0.5000 [2 per cell]
Al  0.1064  0.3934  0.2284 [8 per cell]
Al  0.1929  0.1715  0.3616 [8 per cell]
Al  0.2500  0.2500  0.0000 [4 per cell]
Fe  0.0000  0.5000  0.5000 [2 per cell]


No. 3
Calculated powder X-ray diffraction pattern of ZrPa2SnN5 for Cu Ka, from DFT lattice parameters and positions (GGA-PBE).

Principal peaks in the range 2θ from 10° to 90°, in order of falling intensity:
- 30.1°, rel. 100, (0 4 2)
- 31.9°, rel. 71, (1 1 2)
- 32.6°, rel. 52, (1 3 0)
- 47.2°, rel. 40, (1 3 4)
- 33.3°, rel. 40, (0 0 4)
- 55.5°, rel. 32, (1 7 2)
- 16.5°, rel. 29, (0 0 2)
- 63.4°, rel. 26, (2 4 2)
- 36.7°, rel. 18, (1 3 2)
- 57.5°, rel. 17, (0 4 6)
- 54.4°, rel. 16, (2 0 0)
- 51.4°, rel. 13, (0 8 0)

Crystal structure
Cell lengths 3.3744, 14.2087, 10.7747 Å; angles 90.00, 90.00, 90.00 degrees
Space group Cmc2_1 (No. 36)
Asymmetric unit:
Zr  0.0000  0.2407  0.0000 [4 per cell]
Pa  0.0000  0.1303  0.7344 [4 per cell]
Pa  0.0000  0.1376  0.2550 [4 per cell]
Sn  0.0000  0.4927  0.4862 [4 per cell]
N  0.0000  0.0788  0.0464 [4 per cell]
N  0.0000  0.2783  0.6500 [4 per cell]
N  0.0000  0.2900  0.3585 [4 per cell]
N  0.0000  0.3809  0.0829 [4 per cell]
N  0.0000  0.4860  0.7924 [4 per cell]


No. 4
Calculated powder X-ray diffraction pattern of Li6Cd8Au for Cu Ka, from DFT lattice parameters and positions (GGA-PBE).

Principal peaks in the range 2θ from 10° to 90°, in order of falling intensity:
- 34.9°, rel. 100, (1 2 2)
- 33.1°, rel. 69, (0 1 5)
- 41.6°, rel. 68, (3 0 3)
- 28.1°, rel. 68, (1 1 3)
- 21.2°, rel. 42, (1 1 0)
- 39.7°, rel. 34, (2 0 5)
- 61.1°, rel. 32, (1 2 8)
- 55.4°, rel. 31, (3 1 5)
- 64.3°, rel. 27, (2 3 5)
- 25.2°, rel. 26, (0 2 1)
- 37.1°, rel. 26, (0 0 6)
- 43.1°, rel. 25, (2 2 0)

Crystal structure
Cell lengths 8.4003, 8.4003, 14.5575 Å; angles 90.00, 90.00, 120.00 degrees
Space group R-3m (No. 166, hexagonal axes)
Asymmetric unit:
Li  0.0000  0.3284  0.0000 [18 per cell]
Cd  0.0000  0.0000  0.3819 [6 per cell]
Cd  0.0860  0.5430  0.8348 [18 per cell]
Au  0.0000  0.0000  0.0000 [3 per cell]


No. 5
Calculated powder X-ray diffraction pattern of PaCuNi5 for Cu Ka, from DFT lattice parameters and positions (GGA-PBE).

Principal peaks in the range 2θ from 10° to 90°, in order of falling intensity:
- 40.3°, rel. 100, (3 1 1)
- 40.4°, rel. 99, (2 1 3)
- 38.2°, rel. 58, (1 0 4)